What to do:
Next, find "F20 0.264" and "F42 0.736" in the block underneath, and return these two lines and those between.

Input:
____________
The following is a GGA-PBE calculation of Sb2IF15 after structural relaxation, from the Materials Project.

Cell lengths 8.680, 15.193, 10.150 Å; angles 90.00, 112.53, 90.00 degrees
Fractional coordinates of all 72 atoms:
Sb1 0.100 0.246 0.114
Sb2 0.100 0.254 0.614
Sb3 0.199 0.549 0.356
Sb4 0.199 0.951 0.856
Sb5 0.801 0.049 0.144
Sb6 0.801 0.451 0.644
Sb7 0.900 0.746 0.386
Sb8 0.900 0.754 0.886
I1 0.301 0.611 0.803
I2 0.301 0.889 0.303
I3 0.699 0.111 0.697
I4 0.699 0.389 0.197
F1 0.011 0.640 0.325
F2 0.011 0.860 0.825
F3 0.026 0.035 0.835
F4 0.026 0.465 0.335
F5 0.056 0.720 0.574
F6 0.056 0.780 0.074
F7 0.081 0.686 0.865
F8 0.081 0.814 0.365
F9 0.138 0.556 0.157
F10 0.138 0.944 0.657
F11 0.190 0.155 0.558
F12 0.190 0.345 0.058
F13 0.223 0.240 0.811
F14 0.223 0.260 0.311
F15 0.229 0.553 0.558
F16 0.229 0.947 0.058
F17 0.252 0.161 0.099
F18 0.252 0.339 0.599
F19 0.264 0.515 0.909
F20 0.264 0.985 0.409
F21 0.342 0.647 0.392
F22 0.342 0.853 0.892
F23 0.361 0.039 0.887
F24 0.361 0.461 0.387
F25 0.409 0.701 0.741
F26 0.409 0.799 0.241
F27 0.417 0.659 0.981
F28 0.417 0.841 0.481
F29 0.482 0.543 0.813
F30 0.482 0.957 0.313
F31 0.518 0.043 0.687
F32 0.518 0.457 0.187
F33 0.583 0.159 0.519
F34 0.583 0.341 0.019
F35 0.591 0.201 0.759
F36 0.591 0.299 0.259
F37 0.639 0.539 0.613
F38 0.639 0.961 0.113
F39 0.658 0.147 0.108
F40 0.658 0.353 0.608
F41 0.736 0.015 0.591
F42 0.736 0.485 0.091
F43 0.748 0.661 0.401
F44 0.748 0.839 0.901
F45 0.771 0.053 0.942
F46 0.771 0.447 0.442
F47 0.777 0.740 0.689
F48 0.777 0.760 0.189
F49 0.810 0.655 0.942
F50 0.810 0.845 0.442
F51 0.862 0.056 0.343
F52 0.862 0.444 0.843
F53 0.919 0.186 0.635
F54 0.919 0.314 0.135
F55 0.944 0.220 0.926
F56 0.944 0.280 0.426
F57 0.974 0.535 0.665
F58 0.974 0.965 0.165
F59 0.989 0.140 0.175
F60 0.989 0.360 0.675

Output
For the formation energy, the calculation gives -2.386 eV/atom. The crystal system is monoclinic.
____________

Response:
F20 0.264 0.985 0.409
F21 0.342 0.647 0.392
F22 0.342 0.853 0.892
F23 0.361 0.039 0.887
F24 0.361 0.461 0.387
F25 0.409 0.701 0.741
F26 0.409 0.799 0.241
F27 0.417 0.659 0.981
F28 0.417 0.841 0.481
F29 0.482 0.543 0.813
F30 0.482 0.957 0.313
F31 0.518 0.043 0.687
F32 0.518 0.457 0.187
F33 0.583 0.159 0.519
F34 0.583 0.341 0.019
F35 0.591 0.201 0.759
F36 0.591 0.299 0.259
F37 0.639 0.539 0.613
F38 0.639 0.961 0.113
F39 0.658 0.147 0.108
F40 0.658 0.353 0.608
F41 0.736 0.015 0.591
F42 0.736 0.485 0.091